Thunder Storms // One shot

Start from the beginning

"Chat Noir?" A sweet voice rang through my ears. I turned around to see Marinette in her pajamas standing outside her balcony. "What are you doing out here princess? You're going to catch a cold." I sniffled. My voice was very raspy from all that crying.

"What am I doing out here? What are you doing out here? Chat, were you crying?" Marinette's blue bell eyes stared straight into my green ones.

[Misplaced calculated molecules]
C9H9N2O4 | ωB97M-V with the def2-TZVPD basis set

```
24
C9H9N2O4, DFT ωB97M-V with the def2-TZVPD basis set
C -1.70 -1.74 1.19
C -1.49 -0.55 1.98
C -1.34 -1.90 -0.10
C -1.00 0.58 1.54
C 1.55 1.28 -0.08
C 1.02 -1.69 -0.78
C -0.53 -1.03 -0.93
C -0.53 0.43 -0.64
C 2.85 1.87 -0.48
N 0.61 1.14 -0.90
N -1.74 1.14 -0.83
O 1.28 -2.48 -1.67
O -2.79 0.52 -0.99
O 1.65 -1.30 0.19
O -1.70 2.38 -0.79
H -2.21 -2.55 1.69
H -1.78 -0.63 3.03
H -1.56 -2.86 -0.56
H -0.81 1.57 1.89
H 1.45 0.96 0.96
H -0.76 -1.18 -1.99
H 3.61 1.11 -0.38
H 2.81 2.22 -1.51
H 3.10 2.70 0.18
```

Computed properties:
* E_LUMO: 3.173 eV
* net charge: -1
* energy relative to the best compared isomer or geometry (same formula, charge and spin): 269.8 kJ/mol
* Kohn-Sham gap: 7.5 eV
* HOMO level: -4.3687 eV

C10H26N2O7PSn | ωB97M-V with the def2-TZVPD basis set

```
47
C10H26N2O7PSn, DFT ωB97M-V with the def2-TZVPD basis set
Sn -0.29 -1.74 -0.65
P 0.45 -1.32 -3.72
O -0.02 -0.42 -2.44
O -0.75 -1.39 -4.68
O 0.67 -2.66 -2.94
O 1.68 -0.76 -4.45
C 0.97 -6.28 3.54
O 0.18 -5.64 2.57
C 0.90 -4.88 1.61
C 1.31 -3.51 2.11
N 0.06 -2.78 2.32
C 0.35 -1.47 2.87
C -0.95 -0.63 2.90
O -1.38 -0.19 1.63
C -2.64 0.52 1.73
H 1.71 -7.03 3.24
H 0.38 -6.66 4.37
H 1.61 -5.55 4.05
H 0.30 -4.74 0.71
H 1.69 -5.50 1.18
H 1.93 -3.09 1.30
H 1.88 -3.57 3.04
H -0.51 -3.37 2.92
H 1.26 -0.95 2.60
H 0.48 -1.48 3.96
H -0.80 0.30 3.47
H -1.73 -1.18 3.43
H -2.67 1.21 2.57
H -3.38 -0.27 1.91
H -3.02 1.05 0.86
C 0.16 6.51 -2.88
C 0.74 5.08 -2.85
C -0.25 4.16 -2.13
O 0.38 2.90 -1.82
C -0.45 2.04 -1.07
N 0.86 4.74 -4.27
H 0.60 7.12 -3.67
H 0.26 7.00 -1.91
H -0.89 6.47 -3.19
H 1.76 5.14 -2.45
H -1.14 3.90 -2.71
H -0.44 4.64 -1.17
H -1.41 1.79 -1.53
H -0.57 2.24 0.00
H 0.15 1.13 -1.03
H 0.26 5.28 -4.89
H 0.35 3.87 -4.42
```

Computed properties:
* E_LUMO: 1.579 eV
* net charge: -1
* energy relative to the best compared isomer or geometry (same formula, charge and spin): 0.0 kJ/mol
* Kohn-Sham gap: 4.4 eV
* HOMO level: -2.8307 eV

C41H36AsN2OPPtS2 | ωB97M-V with the def2-TZVPD basis set

```
85
C41H36AsN2OPPtS2, DFT ωB97M-V with the def2-TZVPD basis set
Pt 0.77 -0.21 1.99
C 0.15 1.77 4.80
C 1.03 0.60 5.07
C 1.58 0.53 6.38
C 2.33 -0.53 6.75
C 2.57 -1.57 5.83
C 3.30 -2.72 6.19
C 3.50 -3.71 5.26
C 2.98 -3.57 3.96
C 2.27 -2.45 3.59
S 1.68 -2.30 1.96
C 2.03 -1.43 4.53
N 1.26 -0.33 4.16
H -0.10 2.28 5.73
H -0.76 1.46 4.30
H 0.65 2.48 4.14
H 1.36 1.33 7.07
H 2.74 -0.60 7.75
H 3.70 -2.80 7.19
H 4.05 -4.60 5.52
H 3.15 -4.35 3.23
O 2.46 1.76 2.02
N 1.97 2.93 1.76
C 2.83 3.97 1.64
C 2.41 5.25 1.37
C 1.04 5.48 1.22
C 0.17 4.42 1.34
C 0.63 3.12 1.62
S -0.50 1.80 1.77
H 3.86 3.69 1.77
H 3.13 6.04 1.28
H 0.66 6.47 1.00
H -0.89 4.55 1.24
C -0.80 0.28 -1.38
C -1.92 1.26 -1.07
As -2.80 2.10 -2.63
C -1.27 2.31 -3.82
C -1.34 2.00 -5.18
C -0.24 2.22 -6.00
C 0.93 2.76 -5.49
C 1.00 3.10 -4.14
C -0.10 2.88 -3.32
C -3.60 0.47 -3.35
C -2.89 -0.57 -3.95
C -3.55 -1.71 -4.39
C -4.93 -1.83 -4.23
C -5.64 -0.80 -3.64
C -4.98 0.34 -3.20
P 0.02 -0.69 -0.04

"No." I looked away as more tears streamed down my face. "Chat, will you please come inside? I don't want you to get sick." Marinette crossed her arms.

I climbed down her roof and onto her balcony. My face hung low so she wouldn't see my tear stained face. "Come one kitty, let's get you dried up." She said kindly as she grabbed my hand and let me inside.

She set me down on her spiny chair and went to go get a towel. While I was waiting, I looked around her room. I've been here many times. I always wonder why she has pictures of my Adrien Agreste Modeling pictures on her wall. Maybe she's a fan?

She came back and pulled the chair next to her bed. She sat on the mattress and pulled the chair I was sitting in infront of her now. She caressed my cheek and made me look at her. Tears started falling from my face.

Marinette used the towel to wipe my face and hair and clothes. She used her thumb to wipe away my tears. "Chat, what's the matter?" She put her hands on my cheeks.

"Let's just say, I'm not a fan of thunder storms." I trailed off. "That's nothing to be afraid of Chat, lots of people are afraid of thunder storms!" Marinette hugged me.

"Come on, let's go in the bed." She interlaced our hands and layed in her bed. She patted the seat next to her. Instead of sitting next to the dark haired girl, I crawled on top of her and buried my face into her chest.

I started sobbing making her shirt wet. I felt a little bad because it had ladybug print on it and it suited her.

"It'll be alright." Marinette whispered as she tangled her fingers in my blonde locks. Tears pricked my eyes. She reminded me so much of when my mother did this. I missed her a lot. The storm was still roaring through the night and I gasped at every boom in the sky.

The storm started to die down and my eyes were growing heavy. "Are you ready to sleep you silly kitty?" She cooed. I nodded my head and embraced her tighter. She smiled and laid on her back and pet my hair.

"Purrr~" I immediately stopped. "Did you just purr?" Marinette giggled. "No.." I trailed off. "It's cute." She smiled and wrapped her arms around my waist.

I blushed real hard, but she couldn't see because my face was looking the other way while I laid on her stomach. "Goodnight Chat." She yawned. He arms were still wrapped around my waist and our legs were tangled together.

"Good night my lady." I whispered to her sleeping face. I planted a kiss on her cheek and laid back down. I eventually fell asleep with Marinette holding me in her arms.

~Fast foward to morning~

I woke up still in Marinette's arms and looked at the clock. Tues 3/14/16, 7:00 am school starts in an hour and Marinette was still asleep. "See you at school My lady." I kissed her forehead and jumped out of the window.

Thunder Storms // Marichat [one-shot]Where stories live. Discover now